As business owners, we all know that the key to fantastic sales is letting your customers have a personal experience of you. The difficulty, of course, is that giving each customer that experience personally requires a huge commitment of time from us and our staff. So what do we do?

One solution is to spend our time “courting” once, and then let that effort live forever in a virtual format. It’s about creating multiple products, programs, or revenue streams from the core of our business that can be sold and spread without our direct intervention!

But how do we do that?

Using the promising medium of teleclasses!

By leading teleclasses (classes over the phone) you can take advantage of your classes in a way that will increase your productivity and the profitability of your business while becoming highly visible in your field or profession. You can become the expert in your field – the go to person! This article will provide you with ten ways to leverage your teleclasses for maximum visibility and drive thousands of customers to your door.

If you want to know more about what a teleclass is and how it can support your business, download this audio What is a teleclass? ([])

(1) Create audio recordings of your teleclasses.

With a digital recording device like the Olympus DM-1 recorder or a recording service like, you can capture your teleclasses in audio, which can be put to good use in a variety of ways. This recording can be used as:

-A free download on your website (people love the added value and a way to get to know you when they visit your site)

-A paid download (going rate for a one hour download is approximately $19.00)

-A recording transferred to a CD and used as a business card (people love having great content to listen to while driving or walking)

(2) Combine various teleclasses, including recordings and written content, and create an online digital library.

An online digital library is a wonderful way to give people the opportunity to purchase a lifetime, annual, or monthly membership to your teleclass programs. Many people are unable to attend teleclasses due to time constraints, so an online library will allow people to experience your teleclasses in a self-study format. I recommend that you develop 20 strong teleclasses, record each teleclass, and combine the recordings with written content converted to PDF before opening your library. From here on, you’ll want to continue to add new content to the library each month to keep people interested and excited about what you have to offer so they come back year after year or month after month.

(3) Turn your teleclasses into article(s) for online and print publications.

Teleclasses are a wonderful opportunity to create written content that you can share with your target audience in the form of an article or press release. By writing articles, you can take the content of your teleclasses and put it in a format that positions you as a media expert. This article you’re reading is taken from a telecass titled Leveraging Your Teleclasses for Long-Term Sustainability, and I’m posting it in various places on the internet and in various print magazines. The best thing about writing articles is that your written word spreads to thousands of people all over the world who are in the market for the products and services you offer.

(4) Take the content of your teleclass and develop a 7-10 week e-course.

Marketing studies show that it takes 7-10 touches with a customer before he or she buys from you. By writing a 7-10 week e-course (a weekly lesson delivered via email), you can leave valuable tips related to your teleclasses in the inboxes of your target market. Be sure to include information about your upcoming teleclasses in your e-course, and create an active link in the course so people know how they can purchase a product or program from you in the future.

(5) Develop and sell assessments based on the content of your teleclasses.

People LOVE assessments, because they provide valuable information about their needs, wants, strengths, and weaknesses. A well-designed evaluation can give you an instant connection with your target market and can position you as an expert in the market. I highly recommend Assessment Generator for a professional looking template that is easy to use and highly attractive. To learn more, take the Are You Ready to Lead Teleclasses? visit this link: Born to lead teleclasses? (

(6) Use a teleclass as the basis of a workshop.

A well-written teleclass can provide a great outline for a workshop, and with very little effort, you’ll have a live presentation that you can market to your target audience. You can customize the teleclass to integrate language and address the needs of your audience. The core of your teleclass won’t change… just the way it’s packaged.

(7) Use your teleclasses as the basis for a radio or television interview.

Many TV and radio talk show hosts are always looking for guest experts for their shows who can provide valuable content for their audience. A great way to proceed is to transfer your teleclass to a CD and send it to as many TV and radio talk show hosts as possible.

(8) Create a strategic alliance/merger marketing alliance.

The strategic alliance is one of the most economically viable and effective ways to reach your target audience and generate a great impact with your teleclasses. By forming a strategic alliance with companies that work with your target audience, you will be able to spread your teleclasses to a larger audience at a much lower cost. This approach will increase your visibility and make you appear stronger in your market. An example could be:

**The text is interrupted by data records:**
~~~
No. 1
Computed, not measured: a 18-piece molecular cluster, C17H72N35O17 overall, with the ωB97M-V functional and the def2-TZVPD basis.

## Properties
Calculated total energy in eV: -105762.238
Lowest unoccupied orbital energy in eV: -2.188
Molar mass in g mol⁻¹: 1038.99

```
! RIJCOSX wB97M-V def2-TZVPD def2/J DEFGRID3
* xyz 1 1
N -0.117 -0.385 0.136
H -0.903 0.124 -0.241
H 0.719 0.078 -0.191
H 0.033 -1.283 -0.302
H -0.152 -0.328 1.143
C 0.995 -4.045 0.010
O 0.119 -3.157 0.014
N 1.679 -4.370 -1.040
N 1.364 -4.630 1.061
H 2.330 -5.142 -1.050
H 1.594 -3.885 -1.922
H 0.857 -4.433 1.912
H 2.298 -4.982 0.904
C -1.594 2.029 -1.816
O -1.800 0.865 -1.720
N -0.458 2.605 -1.399
N -2.553 2.777 -2.097
H -0.353 3.597 -1.553
H 0.275 1.942 -1.192
H -2.210 3.706 -1.899
H -3.551 2.621 -2.082
C 1.987 2.732 1.815
O 0.858 2.572 1.384
N 2.820 1.844 2.280
N 2.471 3.903 1.836
H 2.506 0.894 2.420
H 3.734 2.211 2.500
H 3.468 3.997 1.968
H 1.775 4.626 1.954
C 5.597 -1.830 -0.315
O 5.563 -0.684 0.144
N 4.486 -2.513 -0.316
N 6.635 -2.420 -0.733
H 3.635 -1.981 -0.202
H 4.385 -3.435 -0.715
H 6.672 -3.160 -1.419
H 7.380 -1.738 -0.706
C 2.950 1.376 -1.408
O 2.131 0.501 -1.104
N 3.977 1.860 -0.742
N 2.846 1.856 -2.584
H 4.354 1.256 -0.026
H 4.549 2.536 -1.229
H 2.046 1.668 -3.171
H 3.567 2.512 -2.851
C -5.925 -0.533 -4.506
O -6.898 -0.209 -5.112
N -5.674 -1.804 -4.367
N -5.008 0.270 -4.037
H -4.706 -1.901 -4.095
H -6.222 -2.610 -4.629
H -4.092 -0.101 -3.829
H -5.107 1.201 -4.414
C -2.853 -2.299 -2.034
O -2.923 -1.924 -3.171
N -2.486 -3.446 -1.612
N -3.021 -1.567 -0.995
H -2.064 -4.093 -2.262
H -2.599 -3.773 -0.663
H -2.834 -1.956 -0.082
H -3.205 -0.574 -1.021
C -2.118 1.101 2.910
O -1.165 0.360 2.836
N -2.131 2.337 3.226
N -3.312 0.706 2.537
H -1.236 2.604 3.610
H -2.959 2.672 3.697
H -3.309 -0.291 2.375
H -4.138 1.286 2.562
C -2.680 -2.934 2.603
O -3.169 -2.522 1.553
N -3.597 -3.150 3.581
N -1.444 -3.259 2.852
H -3.514 -3.898 4.253
H -4.549 -3.054 3.259
H -1.087 -3.614 3.728
H -0.825 -3.189 2.057
C -1.979 5.259 -0.119
O -1.566 5.260 -1.295
N -2.012 4.260 0.678
N -2.424 6.247 0.535
H -1.698 3.335 0.420
H -2.500 4.182 1.559
H -2.677 5.950 1.467
H -2.608 7.166 0.159
C 2.916 -1.576 2.741
O 2.144 -1.017 2.037
N 2.661 -2.460 3.650
N 4.165 -1.498 2.501
H 1.868 -2.960 4.026
H 3.525 -2.867 3.977
H 4.925 -1.757 3.114
H 4.428 -1.103 1.610
C 1.528 1.578 5.714
O 2.823 1.584 5.600
N 0.815 1.289 6.751
N 0.776 1.330 4.666
H 1.294 1.107 7.621
H -0.180 1.460 6.756
H 1.195 1.314 3.747
H -0.230 1.251 4.704
C -0.124 -6.920 -3.307
O 1.012 -7.242 -3.747
N -1.064 -7.756 -2.970
N -0.427 -5.732 -2.988
H -0.976 -8.754 -3.095
H -1.813 -7.469 -2.356
H -1.392 -5.440 -3.057
H 0.288 -5.021 -3.052
C 1.626 5.766 -2.284
O 2.655 5.958 -2.843
N 0.427 6.105 -2.760
N 1.452 5.048 -1.246
H -0.203 6.085 -1.970
H 0.363 6.364 -3.734
H 0.657 4.992 -0.625
H 2.250 4.462 -1.045
C -2.094 -0.931 6.641
O -3.150 -0.279 6.537
N -1.517 -1.134 7.728
N -1.406 -1.335 5.589
H -1.494 -0.567 8.565
H -0.672 -1.636 7.497
~~~

You align yourself with a group of attorneys who provide legal services to your target market. You ask them to give your teleclass information to others, and in return, you send them business when a client needs legal services. It’s that easy.

(9) Use your teleclasses to create a “Tip of the Day” voice message.

Make the most of voicemail and answering machines by posting a message that says “WOW!” Take information from your teleclasses, turn the content into quick tips, and add a “tip of the day” to your message board. This approach can be very entertaining and educational for your callers, as well as a credibility and rapport builder for you. Relink this message to your teleclasses as a way to generate interest when announcing upcoming calls or offers on your website.

(10) Combine your teleclasses with those of your clients, colleagues and prospects.

Blended programs are often much stronger and more interesting than programs offered by a single individual. By collaborating with your clients, colleagues, and prospects, you have the opportunity to strengthen relationships with others and create something amazing that you can build on later.

This article was written in collaboration by Bea Fields and Roger DeWitt, who can be contacted through